Chapter 2024

• Calculated molecules from another source follow:
~~~
# H6N2Si

A cluster of 2 separate species, H6N2Si in total in a non-equilibrium geometry (wB97M-V/def2-TZVPD, OMol25).

## Properties
HOMO-LUMO gap (spin up / spin down): 5.5 / 6.7 eV
molar mass: 62.15 g mol⁻¹
<S²>: 2.01
relative energy (zero: lowest compared OMol25 entry of this formula, charge and spin): 61.6 kcal/mol
multiplicity: 3
DFT total energy: -10947.342 eV

Element x y z (Å)
Si1 0.153 -0.984 -0.024
N1 -0.467 0.586 0.262
N2 0.568 1.438 0.744
H1 1.217 -1.371 1.526
H2 -0.639 -2.221 -0.301
H3 -1.322 0.914 0.727
H4 1.170 -0.529 -1.133
H5 1.126 1.574 -0.071
H6 0.955 0.860 1.545

# C16H22N4O4

A structure of composition C16H22N4O4 in a non-equilibrium geometry (wB97M-V/def2-TZVPD, OMol25).

## Properties
HOMO-LUMO gap: 7.9 eV
molar mass: 334.38 g mol⁻¹
relative energy (zero: lowest compared OMol25 entry of this formula, charge and spin): 488.4 kcal/mol
DFT total energy: -31080.420 eV

Element x y z (Å)
O1 2.766 -0.812 2.224
O2 6.291 0.316 -1.233
O3 -1.170 -0.308 1.786
O4 1.646 2.988 -0.073
N1 3.363 0.941 0.730
N2 5.119 1.185 -1.093
N3 -0.606 2.341 -0.790
N4 0.449 1.239 0.897
C1 -4.855 -2.696 0.145
C2 -2.849 1.904 -0.041
C3 -0.845 0.627 1.079
C4 1.378 0.947 2.161
C5 -1.527 1.446 -0.259
C6 -4.884 -1.155 -0.414
C7 -3.835 -0.512 -0.064
C8 5.242 -0.721 0.325
C9 6.273 -1.027 -0.506
C10 -4.097 0.928 -0.260
C11 7.417 -1.820 -0.679
C12 2.583 0.177 1.522
C13 0.656 2.041 -0.080
C14 -2.552 -0.940 -1.094
C15 -1.592 0.377 -1.326
C16 4.451 0.380 0.264
H1 -2.946 -1.420 -1.801
H2 -3.590 -0.646 0.976
H3 3.044 1.612 0.310
H4 -4.239 1.149 -1.471
H5 7.295 -2.624 -0.111
H6 -0.770 -0.113 -1.516
H7 -5.056 1.477 0.303
H8 -2.029 -1.643 -0.048
H9 8.300 -1.325 -0.642
H10 1.870 2.064 2.418
H11 -5.252 -1.388 -1.607
H12 7.416 -1.960 -1.850
H13 -3.974 -3.216 -0.503
H14 -5.824 -0.822 0.121
H15 -0.632 2.737 -1.515
H16 -2.826 2.843 -0.351
H17 -4.758 -2.680 1.045
H18 -1.939 0.590 -2.098
H19 0.866 0.477 2.972
H20 4.859 -1.668 1.181
H21 -5.686 -3.293 -0.104
H22 -2.952 2.001 1.071

~~~~~

Entry 1:
The following is a quantum chemistry calculation of CH4P2S in the gas phase at a distorted geometry, from OMol25.

The charge is 0. The value obtained for the HOMO energy is -7.8385 eV. Its HOMO-LUMO gap is 6.265 eV.

Each line ends with the natural charge from an NBO analysis.
Element x y z (Å)
C 1.099 -0.771 0.430  -0.71
P -0.386 0.082 -0.001  0.58
P -0.478 1.823 -1.078  -0.29
S 1.734 -0.749 1.935  0.17
H 1.723 -1.110 -0.466  0.24
H -1.234 0.087 1.312  0.02
H -1.166 -0.829 -0.841  0.02
H -0.260 2.415 0.109  -0.03

Entry 2:
The following is a quantum chemistry calculation of C3H8ClNSi in the gas phase at a distorted geometry, from OMol25.

The charge is 0. The value obtained for the HOMO energy is -8.4285 eV. Its HOMO-LUMO gap is 7.636 eV.

Each line ends with the natural charge from an NBO analysis.
Element x y z (Å)
C -0.134 0.193 -0.297  -0.43
C -2.276 -0.035 0.993  -0.40
C 2.715 0.545 0.195  -1.18
N -1.444 -0.202 -0.189  -0.61
Si 1.261 -0.683 0.868  0.99
~~~
• Here the page continues:

Name:Super Pickup King Author:Tianqi
"They know very little about all the things in their families, especially after being invaded by Japan, they almost killed all the people in their town, so that there is a fault in what they learn."

The elder nodded. Tang Qi knew this. The elder naturally understood it. He didn't have to say much. The elder already understood what he wanted to express? The elder then said to Tang Qi.

"It is said that more than 2000 years ago, in fact, the cloud stone appeared on our land in China, and it was the witch family that appeared. After they owned the cloud stone, everyone could have powers and use them extensively for their people, so that all the cloud stone was wasted on them."

Therefore, after using dolomite, they not only become people with special functions, but also have such power in their blood, which can be passed on to the next generation. However, the more genetic, the more fragile their ability is. So far, their ability seems very weak.

Tang Qi thought so and asked, "so Yunshi can make people have powers, right? Those witch people, after having powers, also inherited them to their offspring, so that they can stand in an immortal place forever, but their thoughts exist in the golden mean, so they will always live a life like a reclusive immortal, right?"

That's about it. The elder nodded and didn't intend to deny Tang Qi's words, but he still said to Tang Qi.

"At present, power is still very important, especially in the current international situation. If we, as power people, don't control and protect all ordinary people and the world order, we don't know what the world will develop into and what kind of people will control it."

Tang Qi naturally knows that the development of a society is an inevitable trend, and there is no too much feeling. After all, from China's more than 2000 years of history, it can be seen that it is common for opening, opening and closing to be difficult, but every peace situation is maintained by a group of people who pay silently behind their backs. At this moment, he is very glad that he can join such an organization, Maintain the stability of the organization.

Because only the organization of peaceful development. Only in this way can we maintain the whole international situation and make people enjoy a comfortable life under a stable situation.

Tang Qi thought so and said to the elder. "I understand the importance of this cloud stone and the deep meaning it contains, so now for us, it is to find out the cloud stone contained in China, right? But has there been the whereabouts of the cloud stone since the witch family found it?"

The elder shook his head reluctantly, felt one from his arms, like the woman with a blue line like a cash detector, and handed it to Tang Qi.

"This can detect whether there is dolomite on a person. No one can get it unless it is someone inside the organization. However, I have showdown with you today. Naturally, I know you are not an outsider, so I tell you so much. After giving you this thing, you will naturally be able to detect it when you encounter dolomite."

Tang Qi nodded repeatedly and took the thing with the blue line. Although he didn't know his luck and whether he could be as good as before, he could directly find the existence of dolomite, but in the end.

As long as that woman is still in China, there is danger. Anyway, he must stop this danger and strangle it in the cradle, otherwise. I don't know what impact it will have on the international situation. The key is that China can't be chaotic and the capital can't be chaotic.

As long as he is there, he will do his best to protect everything inherent now. We can't let some people with abnormal psychology destroy today's peace situation. Tang Qi thought so and solemnly said to the elder.

"So this is the choice of fate. From the beginning, I was not an outsider. I don't hide what the elder said. In fact, I also have powers. It's no secret to believe this. Since you can put all your trust on me and know my details very well, you know that I must also have powers, not to mention me with the witch The family also has a constant relationship. I think about it. It has something to do with me anyway. "

When Tang Qi said this, the elder nodded again and again. Indeed, many things can not be explained by a coincidence. Tang Qi does have some origin, especially his fate with the witch family, which is really surprising.

____________
{"formula": "C28H47N2O5P", "method": "ωB97M-V with the def2-TZVPD basis set", "largest_force_ev_per_a": 0.739, "homo_lumo_gap_ev": 5.38, "multiplicity": 1, "e_tot_ev": -52292.3089, "charge": 2, "species": ["H", "H", "C", "H", "C", "H", "C", "C", "O", "H", "C", "H", "H", "H", "H", "H", "C", "H", "C", "C", "H", "H", "H", "C", "H", "C", "H", "H", "H", "H", "H", "H", "H", "N", "N", "C", "C", "C", "H", "H", "O", "H", "C", "C", "H", "H", "H", "H", "H", "O", "C", "C", "C", "H", "H", "H", "C", "O", "H", "H", "O", "H", "C", "H", "C", "H", "C", "H", "C", "C", "P", "C", "C", "C", "H", "H", "C", "H", "H", "H", "H", "H", "H"], "coordinates": [[-2.5325, -0.8000, -4.7609], [8.5595, 0.0998, 2.0911], [2.7621, 0.9575, 2.5804], [3.8577, 1.5271, -0.9488], [-2.5287, -1.6043, 0.8354], [-0.0706, 4.3437, 1.2808], [-2.3960, 2.9335, 2.1896], [0.8515, 4.0194, 1.7694], [-4.0182, 0.1406, -3.7270], [4.8812, 1.0332, 2.2703], [-3.2702, -1.0359, -3.9897], [8.7233, 1.3689, 0.8647], [-0.5591, 1.3792, 4.4214], [6.1134, -1.2750, -0.0717], [4.3534, -0.2184, 3.4259], [-2.7089, -1.3255, -3.0920], [6.5704, -0.3096, -0.3227], [-3.7087, 2.1018, 0.7611], [4.1185, 0.2901, 2.4954], [-3.7814, 0.7507, -2.4941], [0.9629, 1.8819, -1.8755], [-5.6058, -4.0630, -3.3089], [-2.5696, 3.9583, 1.8958], [8.3373, 0.3638, 1.0576], [-5.3803, 0.1574, 1.3089], [-2.7484, 0.5950, 1.9794], [-3.6360, 0.0044, -1.7023], [8.8498, -1.6498, 0.4642], [5.8391, 0.2880, -0.8709], [2.5660, 0.3351, -0.8182], [3.2205, 0.7392, -2.4072], [1.9547, 0.2559, 2.3707], [-2.7056, -3.4388, -3.5288], [-4.3990, -2.7005, -0.0957], [-1.5191, 2.7187, 3.1788], [-4.7057, -0.6271, 0.9939], [7.8711, -0.5047, -1.0899], [-4.5918, -4.4598, -3.2543], [-1.4602, -1.5785, 0.9995], [-4.2332, -2.1131, -5.5521], [6.9118, 0.3735, 0.8839], [8.0944, 0.3795, -1.6896], [-1.2665, 1.4746, 3.6090], [-3.0304, 1.8965, 1.5764], [-3.3632, -4.1201, -4.9851], [-2.4806, -3.4906, -0.1697], [4.1338, -0.4174, 1.6672], [-1.3036, 4.7588, 3.5152], [1.2533, 3.1005, 3.7261], [0.2763, 1.4803, 0.9065], [2.9582, 1.1485, -1.4327], [-4.1963, -4.6687, -1.7772], [-3.0827, -2.6619, 0.1633], [9.9032, -0.4228, -0.2450], [7.8420, -1.3678, -1.7526], [-5.1708, -2.0157, -4.0646], [-5.0473, -3.8675, -0.7842], [2.6988, 2.0277, 1.6071], [-1.6369, -0.5919, 3.4041], [-6.2515, -1.7979, 0.0800], [1.8161, 3.0952, -0.4352], [-2.8958, 1.3978, -2.5153], [1.9506, 2.2592, -1.6123], [-3.1344, -4.4577, -1.6786], [0.6848, 3.9259, 3.2995], [-5.8981, -3.4328, -1.3046], [-3.6376, -3.5761, -4.0845], [-4.6311, -5.4442, -3.7180], [-1.8661, 0.3974, 3.0373], [-3.3407, -0.5626, 1.2693], [1.3506, 2.5050, 0.9385], [8.8790, -0.6400, 0.0505], [-5.2006, -1.7035, 0.3122], [-0.7655, 3.8521, 3.7786], [1.5928, 4.7815, 1.5307], [2.2735, 2.9419, -2.3944], [-4.1709, -2.1759, -4.4676], [1.0898, 4.8334, 3.7464], [-0.8126, 3.7112, 4.8565], [-4.3087, -5.7181, -1.5103], [-5.4465, -4.4962, 0.0110], [2.6155, 1.3888, 3.5722], [-4.6498, 1.3610, -2.2440]]}
____________

With the help of Tang Qi, it's like adding wings to the tiger, which makes the elder feel at ease. He has been tracking down the whereabouts of Yunshi in the capital, but there is no news for the time being. Tang Qi met the woman yesterday. The things he brought out were so careful that they should be Yunshi, so Tang Qi's luck will always be much better than him.

"However, this matter is very strict. Please don't mention it to others. Also, you should pretend you don't know about Yunshi. Otherwise, it will be disadvantageous to you. Even if you don't have it, everyone who knows it will be killed. With your current ability, although it's not a problem to protect yourself, it's hard to guarantee that you have to protect so many people You can also save them. "

Tang Qi naturally understood that the elder meant to tell him that he must protect his family, and it would not do him any good if he told him about it. He was not a person who didn't know good or bad, nor a person who loved to show his lobbying when he met something, so he certainly wouldn't tell him about it.

But there was one thing he was still very curious about, so he asked the elder. "No, according to your survey, it was more than 2000 years ago that dolomite first appeared in China, belonging to the witch family. Why did it run to Japan now? Do you think it has any origin with the previous history?"

Hearing Tang Qi's remark, the elder looked helpless. He seemed to have a lot of regrets. He sighed and thought of it. It was a very painful thing for him, but he still explained to Tang Qi.

"This matter really makes people feel angry. I heard that before the Tang Dynasty, Yunshi had always been in China and in the witch family, but somehow the secret was known by the people of Japan."

"When the despicable Japanese people visited the Tang Dynasty during the Tang Dynasty, they learned the secrets of the witch family through various channels, and then cheated a group of girls about the witch family to the Japanese country through young talents."

"So I learned the secret of Yunshi, came to China by any means, destroyed the witch family once, and plundered all Yunshi. After that, it was difficult for the witch family to rise again, and ordered the women of the witch family not to marry outside, because there had been a great crisis in the Tang Dynasty."

"From the Tang Dynasty, the witch family began to decline. Although they established their own soul tripod and worshipped a cloud stone in the soul tripod, there was only one left. They were careful and never used it. Unless the clan leader could inherit the power of the soul tripod, they could get this cloud stone. However, it was said that the soul tripod was difficult to be accepted, and almost no one could accept it To get the marble from the soul tripod? "

When the elder said this, Tang Qi's heart was shaking. He got the soul tripod and didn't tell anyone. Is it because there is a cloud stone in the soul tripod? That's why it can be so powerful! It's not the soul tripod that protects him all the time, but the cloud and stone in the soul tripod that protects him. Tang Qi really feels incredible, so

Although he believes in the elder with all his strength, he doesn't want to contribute this cloud stone. He still wants to study it. What's the magic of this cloud stone?

Thinking so, he gently nodded his head and opened the topic. After understanding here, he almost had a preliminary understanding of dolomite. Next, he needs to investigate other materials himself. Thinking so, Tang Qi said to the elder.

"In this way, I know the relationship. But I want to ask the elder, have you arranged a residence? If not, you might as well have a rest in the headquarters. No one dares to disturb your cleanliness here. It's safer. We're more relieved to live here."

The elder naturally knew that Tang Qi's headquarters was airtight and unbreakable. However, for him, there were still important things to do. It was really inconvenient to live in the headquarters, so he refused. Tang Qi said his kindness.

"I understand your kindness. Naturally, I know you are a good child with good luck, strong ability and kind heart. I won't live in the headquarters and will go to Shenhua club."

Attached: data records:
-- begin --
(1)
C4H10N2O | wB97M-V/def2-TZVPD

Geometry as XYZ:
```
17
C4H10N2O (wB97M-V/def2-TZVPD)
C -1.26922 -0.89698 -0.65491
C -0.22941 -1.50148 0.40996
C 1.32011 0.24582 0.39012
C 2.36738 1.00130 -0.33284
N -1.24026 0.50950 -0.55190
N -1.91400 1.14285 0.40537
O 1.03673 -1.04965 0.01880
H -0.90744 -1.36380 -1.56033
H -2.27804 -1.43671 -0.38651
H -0.46829 -1.13858 1.42614
H -0.23853 -2.57730 0.17376
H 0.78513 0.38689 1.32091
H 3.22351 1.17247 0.28664
H 1.84959 1.94434 -0.64461
H 2.64663 0.73440 -1.40264
H -2.62043 0.64090 0.94550
H -2.06347 2.18604 0.15652
```

Energy, eV: -9332.775
2S+1: 1
Energy relative to the best compared isomer or geometry (same formula, charge and spin), kJ/mol: 599.4
Highest occupied orbital energy (alpha / beta), eV: -6.28 / -7.17
LUMO level (alpha / beta), eV: 0.81 / 1.07

(2)
C8H31CuN2O7 | wB97M-V/def2-TZVPD

Geometry as XYZ:
```
49
C8H31CuN2O7 (wB97M-V/def2-TZVPD)
Cu 20.31341 7.71378 -25.82335
O 21.03659 6.10754 -24.35345
H 21.26832 5.41320 -23.70636
C 25.68038 3.08592 -24.15403
C 24.17366 3.33525 -23.81983
C 23.77206 2.77954 -22.44350
O 22.31232 2.94138 -22.38906
C 21.73205 2.41497 -21.21879
N 24.06962 4.79066 -23.84774
H 26.33750 3.57575 -23.43545
H 25.80575 3.43801 -25.17795
H 25.80608 2.00761 -24.25176
H 23.57294 2.86766 -24.59996
H 24.35775 3.25443 -21.65639
H 23.94574 1.70374 -22.41943
H 21.99908 1.35903 -21.17646
H 20.69322 2.71345 -21.07794
H 22.25032 2.73807 -20.31595
H 24.28644 5.19501 -24.74750
H 23.12181 5.04613 -23.61006
C 23.27191 5.55882 -19.62225
C 21.84503 6.02789 -19.30577
C 21.67966 7.51528 -18.83383
O 22.17287 7.77176 -17.51337
C 21.50487 7.01386 -16.47378
N 21.12407 5.76801 -20.54486
H 23.84409 5.67398 -18.70168
H 23.83012 6.11706 -20.37382
H 23.32943 4.47562 -19.72938
H 21.57433 5.36214 -18.48625
H 20.61431 7.74352 -18.86616
H 22.24507 8.04752 -19.59877
H 21.95460 7.15733 -15.49131
H 21.54741 5.93573 -16.62851
H 20.44309 7.20217 -16.31484
H 21.60456 5.08087 -21.10796
H 21.21812 6.52717 -21.20434
O 18.60972 6.30014 -23.27266
H 18.15664 5.64939 -23.80882
H 19.50827 6.29931 -23.60252
O 21.21604 8.35804 -22.80781
H 20.62198 8.88877 -23.33852
H 21.25136 7.51423 -23.25833
O 23.03754 6.40599 -26.19647
H 22.36244 6.29391 -25.52721
H 22.57265 6.77687 -26.94652
O 20.96001 3.47794 -24.83563
H 20.92758 4.43400 -24.80224
H 21.45026 3.22696 -24.05276
```

Energy, eV: -70746.641
2S+1: 1
Energy relative to the best compared isomer or geometry (same formula, charge and spin), kJ/mol: 256.3
Highest occupied orbital energy, eV: -8.59
LUMO level, eV: -3.10

(3)
C66H147N9O9 | wB97M-V/def2-TZVPD

Geometry as XYZ:
```
231
C66H147N9O9 (wB97M-V/def2-TZVPD)
C -2.03236 5.11993 -4.91478
C -1.04806 5.12816 -3.64074
C 0.33827 4.52502 -4.15057
C -0.82258 6.57973 -3.16130
C -1.83828 7.12506 -2.12031
C -2.27860 6.12258 -1.05044
C -2.54871 4.71343 -1.58755
C -2.51150 3.86105 -0.32688
C -3.96300 4.63871 -2.19877
N -1.52382 4.30118 -2.51681
O -1.57674 2.93873 -2.83520
H -2.76352 5.92536 -4.84552
H -1.42670 5.12920 -5.82098
-- stop --
Here the page continues:

"Both Gu and Cheng have arranged a room for me. I'm afraid I won't go there. They think I'm going to be abducted by you. At that time, they'll be with you. You know Cheng. How do you think of you now? They don't like it. They think you won't take the overall situation into account and like to joke about the future of your brothers."

Tang Qi knew that after this study, Cheng Hantian had great opinions on him, and always looked at him with colored glasses. Of course, he had high expectations for him, so he was so disappointed in him. Tang Qi didn't insist, because everyone pursued different things.

He can't say that Cheng Hantian is wrong. He can only say that Cheng Hantian is a career man. Thinking so, he nodded again and again. This is really better for the elder to live in the past. If he lives here, I don't know what bad words Cheng Hantian will say about him at that time?

When the elder saw that Tang Qi had made sense and that Tang Qi had understood the relationship, he stood up and said to Tang Qi again.